Christmas Day at the BBC wasn’t so much ‘The Time of the Doctor’ as the Day of Jenna Louise Coleman. For Jenna Louise Coleman co-starred as usual in Doctor Who, then reappeared later in the first episode of a three part, three hour adaptation of PD James’ Death Comes to Pemberley.
Doctor Who was a special Christmas Special, burdened not only with delivering the usual festive froth Christmas Day episodes of the programme are obliged to provide, but also serving as a farewell to Matt Smith’s Doctor and a welcome to Peter Capaldi. The plot was barking, but as ever had some clever touches.
On a planet of some significance there appears to be just one small town. An old fashioned alpine settlement called Christmas, where it seems to be Christmas all the time and the people seem to do nothing but wander about aimlessly. Meanwhile on Earth Clara is having a bad Christmas Day. She has told her family she has a boyfriend, who they are expecting to meet. Problem one is that she made the boyfriend up. Problem two is that the turkey isn’t going to be cooked in time for Christmas dinner. Perhaps the Doctor can help with both difficulties. Cue comedy hijinks involving holographic clothes.
‘Meanwhile’ the Doctor ends up stuck in the town of Christmas for centuries, while Clara pops over every so often on what is for her the same Christmas Day, to witness the Doctor getting ever older. It’s one of Steven Moffat’s very best episodes, ‘The Girl in the Fireplace’, reworked as a Christmas turkey with the Doctor as the Girl.
While it doesn’t make a lot of sense it manages to all be quite moving. And along with the kitchen sink Moffat throws the greatest villains in again, wasting the Weeping Angels, Daleks and Cyberman in another easily resolved monster mash. There is an attempt to tie up lots of semi-forgotten unfinished business, though the explanations for the ‘Crack in the Wall’ and the role of The Silence in the events of a couple of series back feel like afterthoughts, rather than something planned from the start. That said, perhaps a close rewatching of ‘A Good Man Goes to War’ will make sense of everything, and reviewing the early Smith episodes may reveal foreshadowing of a grander design.
(What comes next are quantum chemistry results, not part of the page)
<<<
Entry 1:
Formula: C22H28N6O4
Source: the OMol25 dataset
Level of theory: the ωB97M-V functional and the def2-TZVPD basis

Computed properties:
- Lowest unoccupied orbital energy: 0.1 eV
- HOMO-LUMO gap: 7.49 eV
- SMILES: CCOc1cc(N2CCOCC2)c(OCC)cc1NC(=O)c1nc2nc(C)cc(C)n2n1
- Relative energy (zero: lowest compared OMol25 entry of this formula, charge and spin): 69.8 kcal per mole
- Charge: 0
- HOMO: -7.42 eV
- Spin multiplicity: 1

Geometry (Å):
C -0.786 -2.425 -1.505
C 0.032 -3.033 -0.369
O 0.119 -2.167 0.751
C 0.958 -1.077 0.610
C 2.333 -1.225 0.556
C 3.186 -0.124 0.477
C 2.601 1.156 0.434
C 1.227 1.307 0.509
C 0.388 0.203 0.593
N -0.998 0.277 0.621
C -1.809 1.353 0.481
O -1.462 2.512 0.389
C -3.226 0.908 0.429
N -4.263 1.730 0.450
N -5.309 0.918 0.358
C -6.620 1.232 0.337
C -7.485 0.174 0.230
C -6.986 -1.147 0.148
N -5.704 -1.422 0.172
C -4.863 -0.408 0.278
N -3.546 -0.400 0.325
C -7.928 -2.298 0.029
H -8.595 -2.327 0.889
H -7.364 -3.224 -0.023
H -8.538 -2.193 -0.866
H -8.548 0.348 0.206
C -6.986 2.668 0.429
H -8.063 2.800 0.385
H -6.600 3.084 1.359
H -6.512 3.218 -0.383
H -1.460 -0.628 0.678
H 0.805 2.298 0.479
O 3.366 2.304 0.343
C 3.999 2.498 -0.913
C 3.000 2.813 -2.022
H 3.531 3.029 -2.945
H 2.398 3.675 -1.747
H 2.337 1.966 -2.183
H 4.672 3.345 -0.754
H 4.589 1.613 -1.180
N 4.577 -0.261 0.397
C 5.363 0.409 1.423
C 6.810 0.528 0.945
H 7.439 0.952 1.730
O 7.356 -0.735 0.639
C 6.585 -1.379 -0.345
C 5.132 -1.567 0.104
H 4.567 -2.029 -0.706
H 5.117 -2.228 0.987
H 7.059 -2.346 -0.523
H 6.600 -0.790 -1.276
H 6.850 1.176 0.056
H 4.950 1.398 1.612
H 5.343 -0.174 2.358
H 2.738 -2.223 0.609
H 1.036 -3.298 -0.726
H -0.456 -3.934 0.012
H -0.306 -1.519 -1.871
H -1.786 -2.176 -1.157
H -0.863 -3.137 -2.323

Mulliken atomic charge list, values in e, 5 entries:
1 C -0.92
2 C -0.30
3 O -0.61
4 C 0.52
5 C -0.36

Entry 2:
Formula: C22H28NO2
Source: the OMol25 dataset
Level of theory: the ωB97M-V functional and the def2-TZVPD basis

Computed properties:
- Lowest unoccupied orbital energy: -5.4 eV
- HOMO-LUMO gap: 4.65 eV
- Relative energy (zero: lowest compared OMol25 entry of this formula, charge and spin): 43.5 kcal per mole
- Charge: +1
- HOMO: -10.04 eV
- Spin multiplicity: 1

Geometry (Å):
C -2.332 1.233 -1.894
C -0.928 0.693 -1.913
C -0.825 -0.674 -2.497
C 0.092 1.599 -1.704
N 1.418 1.494 -2.028
C 2.251 2.687 -1.758
C 3.703 2.283 -1.530
O 4.201 1.417 -2.556
C 3.361 0.284 -2.788
C 1.925 0.684 -3.123
H -3.068 0.491 -1.576
H -2.464 2.117 -1.265
H -2.633 1.538 -2.908
H -1.578 -1.334 -2.051
H -1.023 -0.680 -3.587
H 0.115 -1.202 -2.319
H -0.157 2.568 -1.233
H 2.206 3.396 -2.607
H 1.869 3.183 -0.864
H 4.370 3.156 -1.580
H 3.800 1.808 -0.534
H 3.837 -0.249 -3.626
H 3.368 -0.388 -1.904
H 1.341 -0.216 -3.278
H 1.929 1.245 -4.077
C -1.233 2.224 5.718
O -0.029 1.924 4.970
C -0.125 1.341 3.745
C 1.094 1.119 3.056
C 1.120 0.337 1.930
C -0.064 -0.295 1.449
C 0.007 -1.222 0.370
C -0.710 -2.462 0.314
C -0.590 -3.328 -0.820
C -1.481 -4.369 -1.044
C -2.399 -4.747 -0.051
>>>
(Here the page continues)
As for the actual centuries long siege of Christmas (the town), I was left wondering how the townsfolk held some of the most dangerous menaces in the universe off for so long with… well? What? The mechanics of the conflict are glossed over, and the episode dramatically implausible as anything other than a touching fable regarding the Doctor growing old, being reborn, saving the world. You know, on Christmas Day.
Matt Smith bowed out magnificently. Coleman was very good as usual, and the few seconds we saw of Capaldi’s Doctor gave hope that he will bring something of the years of wisdom and experience of Smith’s eventually many centuries older Doctor to the programme.
Then it was over and Coleman was back in a sequel to Pride and Prejudice. I wouldn’t normally mention it on Amazing Stories, but it had the Doctor’s companion, or at least the actress who plays her, talk of a ghost, a relationship with fan fiction and was based on a novel by the author of SF novel The Children of Men. I thought that was a ludicrous book, a half-baked rehash of Brian Aldiss’ Greybeard saddled with so ridiculous a central idea that nothing could salvage it. PD James is a gifted writer of conservative crime fiction. She hasn’t a clue about SF. All acclaim to the contrary I thought the film of The Children of Men a mess, unable to survive the preposterousness of its premise.
When you or I write a story based on a pre-existing novel it is fan fiction. When a ‘name writer’ does the same then the result is a sequel by another hand, and can be an ‘acclaimed publishing event’. Death Comes to Pemberley is PD James’ sequel, set six years after the end of Pride and Prejudice. The BBC decided to lavish money on an adaptation shown on three consecutive evenings at peak time over the Christmas holiday. This was event television, designed to capture the huge audience for all things Jane Austen and circumvent the problem that Austen wrote only six novels. All of which have been adapted at least once, most several times, over the last two decades. That Death Comes to Pemberley wasn’t worth filming is besides the point. The BBC needed some costume drama for Christmas.
It was all started by the 1995 BBC adaptation of Pride and Prejudice. Before that Jane Austen was not such a big deal. People tend to forget. Prior to 1995 she was just another popular classic writer. Not the ‘Greatest Female Novelist in History’ (Trademark). Given all that the BBC decided to saddle their new production as a homage to the 1995 Pride and Prejudice. But without the same cast, nor with actors of the charisma of Colin Firth and Jennifer Ehle as Darcy and Elizabeth. And to shoot digitally, rather than on film. With fashionably colour processed flashbacks. And a misjudged ‘modern’ musical score by The Insects which ranged from action movie generic thuds to inappropriately overwrought vocal selections. But style and a shocking lack of subtlety aside, the whole was wrecked by the story, a plodding crime procedural littered with anachronistic dialogue which felt nothing like Austen. Coleman gave the thing some spark as Elizabeth’s sister, Lydia (which is why it is worth a mention here at all), but why the BBC wasted three hours on this nonsense then a couple of days later crammed an adaptation of Diane Setterfield’s superbly strange and decidedly lengthy Gothic debut novel The Thirteenth Tale into 90 inadequate minutes remains a mystery in itself.
I wrote about the BBC celebration of the 50th anniversary of Doctor Who here. Come back next week when I’ll be reviewing the BBC’s TVM of The Thirteenth Tale.
I thought The Time of the Doctor was bonkers too but poor Steven Moffat had so many loose ends to tie up that it was probably inevitable. Jenna Coleman was by far the best thing in it. She is looking like she could be one of the doctor’s best companions. It was also cool to see a new older doctor in the shape of Peter Capaldi. For me, the doctor always works best when played by an older actor, and John Hurt’s turn as the War Doctor was probably the best performance as the main character since the Patrick Troughton days. However, it’s not always the producer’s fault that they go for younger stars. Bill Nighy for example has gone on record to say that he turned the part down, but he was too polite to say who took the role in his place: